Exercise >
What is needed: work out how many lines below have the word "moment" in them; a number is enough.
Data >
- - -
Below is crystalline Li9Mn2Co5O16 at its relaxed geometry, with properties calculated at the GGA+U level.

Cell and atoms, written as extended XYZ:
```
32
Lattice="-5.0825 0.0000 0.0000 -0.0078 -5.7762 0.0000 0.9893 1.3818 9.6507" Properties=species:S:1:pos:R:3 pbc="T T T"
Li -3.7257 -2.1984 7.1591
Co 0.4710 -0.7123 4.8422
O -0.4397 -2.2401 5.9097
O -1.2181 -3.5159 3.7533
Mn -3.8184 -5.0269 0.0104
Li -0.4473 -5.0571 2.5411
O -2.8829 -0.8785 5.8975
O -4.5731 -0.7297 1.0643
O -1.2082 -0.8658 3.7420
Li -3.6537 0.6627 7.1096
O 0.5781 -0.8124 8.6315
O 0.4721 -3.6647 8.5864
Li -2.8729 -3.6377 2.5328
O -3.6613 -2.1543 3.7410
O -4.6791 -3.5820 1.0192
O -3.8626 -5.0225 3.6419
O -2.1296 -2.1799 1.0101
O -2.0698 0.6576 8.5680
Co -1.2748 -3.6116 0.0017
O -2.8928 -3.5286 5.9087
Li -0.3753 -2.1959 2.4917
Co -4.5720 -3.6821 4.8085
O -2.0312 -5.0520 1.0827
Co -2.8262 -0.7827 9.6491
Li -2.9186 -0.7172 2.5435
Li -1.2281 -0.7566 7.1179
O -1.9714 -2.2145 8.6406
O -0.2384 0.6281 6.0088
Li -1.1824 -3.6772 7.1072
Mn -0.2826 0.6325 9.6403
Co -2.0505 -2.1972 4.8254
Li -2.0466 0.6909 4.8254
```

Calculated values
**Magnetic moment**: 10.00 μB/cell
**Space-group type**: P-1

***

Below is crystalline NiC4O4 at its relaxed geometry, with properties calculated at the GGA+U level.

Cell and atoms, written as extended XYZ:
```
72
Lattice="11.0235 0.0000 0.0000 0.0000 11.0235 0.0000 0.0000 0.0000 11.0235" Properties=species:S:1:pos:R:3 pbc="T T T"
C 5.8459 2.3834 5.2246
O 5.8265 8.5590 10.6252
Ni 1.3435 4.1682 6.8553
O 3.0460 3.0460 3.0460
C 3.1284 5.7989 0.3342
Ni 9.6800 6.8553 4.1682
O 0.3983 0.3148 7.9763
O 3.0460 2.4658 8.5577
C 7.8916 2.3799 3.1319
C 8.6436 7.8916 3.1319
O 10.7088 3.0473 10.6252
C 10.6894 8.6402 10.7364
C 2.3834 5.2246 5.8459
Ni 9.6800 9.6800 9.6800
O 3.0473 10.6252 10.7088
O 5.1970 3.0473 5.9101
C 7.8951 0.2872 5.1776
O 8.5590 5.9101 0.3148
Ni 4.1682 6.8553 1.3435
Ni 6.8553 1.3435 4.1682
O 3.0473 5.9101 5.1970
Ni 1.3435 1.3435 1.3435
O 10.7088 2.4645 5.1134
C 5.1776 7.8951 0.2872
C 0.3342 3.1284 5.7989
O 5.1970 2.4645 0.3983
C 3.1319 8.6436 7.8916
O 2.4645 5.1134 10.7088
O 2.4658 8.5577 3.0460
O 2.4645 0.3983 5.1970
C 3.1319 7.8916 2.3799
Ni 4.1682 9.6800 6.8553
C 5.8459 3.1284 10.7364
C 5.1776 8.6402 5.7989
O 5.9101 5.1970 3.0473
C 5.2246 5.8459 2.3834
C 0.2872 5.1776 7.8951
C 2.3834 0.2872 0.3342
O 5.1134 5.8265 7.9763
O 7.9775 7.9775 7.9775
C 10.7364 10.6894 8.6402
C 10.7364 5.8459 3.1284
C 7.8916 3.1319 8.6436
O 2.4658 7.9775 8.5577
O 8.5577 3.0460 2.4658
C 3.1284 10.7364 5.8459
C 5.7989 5.1776 8.6402
O 7.9763 0.3983 0.3148
O 5.1134 10.7088 2.4645
C 5.2246 10.6894 7.8951
C 7.8951 5.2246 10.6894
O 5.9101 0.3148 8.5590
C 0.3342 2.3834 0.2872
O 5.8265 7.9763 5.1134
O 10.6252 10.7088 3.0473
C 8.6402 10.7364 10.6894
C 5.7989 0.3342 3.1284
C 2.3799 3.1319 7.8916
O 0.3148 7.9763 0.3983
O 0.3148 8.5590 5.9101
C 8.6436 8.6436 8.6436
O 7.9775 8.5577 2.4658
O 0.3983 5.1970 2.4645
C 2.3799 2.3799 2.3799
O 8.5590 10.6252 5.8265
C 10.6894 7.8951 5.2246
O 8.5577 2.4658 7.9775
O 7.9763 5.1134 5.8265
C 0.2872 0.3342 2.3834
O 10.6252 5.8265 8.5590
Ni 6.8553 4.1682 9.6800
C 8.6402 5.7989 5.1776
```

Calculated values
**Magnetic moment**: 0.00 μB/cell
**Space-group type**: Pa-3

***

Below is crystalline LiVF4 at its relaxed geometry, with properties calculated at the GGA+U level.

Cell and atoms, written as extended XYZ:
```
24
Lattice="5.3962 0.0000 0.0000 0.0000 6.1226 0.0000 0.0000 1.0385 9.6315" Properties=species:S:1:pos:R:3 pbc="T T T"
F 3.8024 3.6315 6.6368
V 2.5569 3.9761 1.2606
Li 0.1313 1.5651 7.4503
F 1.6890 5.4607 5.6098
F 1.5938 3.5296 2.9947
F 0.6962 1.0083 2.9314
F 3.7072 1.7004 4.0217
V 0.1412 4.4954 6.0764
F 1.0091 4.9415 0.7940
F 3.3943 5.6336 1.8843
Li 2.8294 6.1153 6.9970
Li 2.5668 1.0458 2.6346
F 1.1043 4.0488 7.8105
F 3.2974 5.0271 8.9588
F 0.5993 2.6533 5.4885
F 2.0988 2.1340 0.6727
F 4.3871 2.2196 8.8375
F 4.2919 3.1123 1.8210
Li 5.2649 5.5960 2.1812
V 2.8393 3.1850 8.3709
V 5.2550 2.6657 3.5552
F 4.7968 4.5079 4.1431
- - -
Written answer >
2